Source.
<<<
Theoretical powder XRD pattern of Tl2Cd2I5 for Cu Kα, 1.54184 Å, from a PBE-relaxed structure.
No peak broadening, texture or thermal motion is included.

Crystal structure
```
Tl2Cd2I5
1.0
8.043 -3.063 0.000
8.043 3.063 0.000
-3.789 0.000 7.834
Tl Cd I
2 2 5
direct
0.112 0.112 0.289
0.888 0.888 0.711
0.357 0.357 0.136
0.643 0.643 0.864
0.144 0.144 0.895
0.350 0.350 0.468
0.500 0.500 0.000
0.650 0.650 0.532
0.856 0.856 0.105
```

The 10 most intense peaks (10° ≤ 2θ ≤ 90°), in order of rising 2θ:
two_theta	d/Å	I/Imax
17.74	4.998	33
20.55	4.322	46
24.59	3.620	76
25.38	3.509	84
29.15	3.063	100
29.47	3.031	62
34.11	2.628	38
34.40	2.607	51
38.50	2.338	47
45.47	1.995	34

Theoretical powder XRD pattern of TlCdI4 for Cu Kα, 1.54184 Å, from a PBE-relaxed structure.
No peak broadening, texture or thermal motion is included.

Crystal structure
```
TlCdI4
1.0
10.157 -3.345 0.000
10.157 3.345 0.000
-2.645 0.000 8.941
Tl Cd I
2 2 8
direct
0.188 0.188 0.301
0.812 0.812 0.699
0.162 0.162 0.747
0.838 0.838 0.253
0.065 0.065 0.443
0.091 0.091 0.958
0.293 0.293 0.707
0.329 0.329 0.243
0.671 0.671 0.757
0.707 0.707 0.293
0.909 0.909 0.042
0.935 0.935 0.557
```

The 10 most intense peaks (10° ≤ 2θ ≤ 90°), in order of rising 2θ:
two_theta	d/Å	I/Imax
14.00	6.328	95
19.86	4.470	28
24.15	3.686	87
25.43	3.502	20
26.65	3.345	100
29.04	3.074	71
36.26	2.477	60
39.29	2.293	22
39.82	2.264	52
48.11	1.891	24

Theoretical powder XRD pattern of TlCd2I2 for Cu Kα, 1.54184 Å, from a PBE-relaxed structure.
No peak broadening, texture or thermal motion is included.

Crystal structure
```
TlCd2I2
1.0
-2.112 2.112 9.939
2.112 -2.112 9.939
2.112 2.112 -9.939
Tl Cd I
1 2 2
direct
0.000 0.000 0.000
0.250 0.750 0.500
0.750 0.250 0.500
0.395 0.395 0.000
0.605 0.605 0.000
```

The 10 most intense peaks (10° ≤ 2θ ≤ 90°), in order of rising 2θ:
two_theta	d/Å	I/Imax
25.00	3.562	64
30.89	2.895	85
31.27	2.860	100
36.15	2.485	22
42.82	2.112	40
50.22	1.817	19
53.73	1.706	36
55.53	1.655	39
57.25	1.609	23
88.11	1.109	24

Theoretical powder XRD pattern of Tl3Cd2I7 for Cu Kα, 1.54184 Å, from a PBE-relaxed structure.
No peak broadening, texture or thermal motion is included.

Crystal structure
```
Tl3Cd2I7
1.0
14.487 0.000 0.000
0.000 15.292 0.000
0.000 0.000 4.553
Tl Cd I
6 4 14
direct
0.000 0.000 0.000
0.109 0.371 0.000
0.391 0.871 0.000
0.500 0.500 0.000
0.609 0.129 0.000
0.891 0.629 0.000
0.241 0.122 0.500
0.259 0.622 0.500
0.741 0.378 0.500
0.759 0.878 0.500
0.000 0.500 0.500
0.057 0.187 0.500
0.167 0.694 0.000
0.202 0.942 0.500
0.298 0.442 0.500
0.333 0.194 0.000
0.443 0.687 0.500
0.500 0.000 0.500
0.557 0.313 0.500
0.667 0.806 0.000
0.702 0.558 0.500
0.798 0.058 0.500
0.833 0.306 0.000
0.943 0.813 0.500
```

The 10 most intense peaks (10° ≤ 2θ ≤ 90°), in order of rising 2θ:
two_theta	d/Å	I/Imax
24.08	3.696	22
25.27	3.524	29
25.88	3.442	32
26.97	3.306	100
27.55	3.238	63
29.04	3.075	31
31.56	2.834	26
39.58	2.277	55
41.06	2.198	28
48.70	1.870	19

=====

# LaAlO3
Calculated X-ray powder pattern, λ = 1.5418 Å (Cu Kα). Input: a crystal structure in the Materials Project, relaxed with PBE.
Lines closer than 0.1° are merged.

Largest 6 diffraction maxima, by angle, 2θ = 10–90°:
23.3 deg, intensity 47
33.2 deg, intensity 100
41.0 deg, intensity 43
47.7 deg, intensity 36
53.8 deg, intensity 22
59.4 deg, intensity 39

Atomic structure:
```
LaAlO3
1.0
3.811 0.000 0.000
0.000 3.811 0.000
0.000 0.000 3.811
La Al O
1 1 3
direct
0.000 0.000 0.000
0.500 0.500 0.500
0.000 0.500 0.500
0.500 0.000 0.500
0.500 0.500 0.000
```

=====

# Na5LiFe2P2C2O14
Computed powder diffraction line list, Cu Kα X-rays. Input: a crystal structure in Alexandria, relaxed with GGA+U.

Top 10 peaks for 2θ from 5° to 70°, sorted by position:
2θ/deg  d_spacing  I_rel  (hkl)
9.9  8.954  84  0 0 1
19.5  4.552  32  1 0 1
19.8  4.476  32  1 0 -1
26.0  3.433  30  1 0 2
26.9  3.319  100  0 2 0
29.9  2.986  26  0 0 3
33.3  2.691  44  0 2 2
33.5  2.673  33  1 -2 1
34.3  2.613  92  2 0 0
55.4  1.660  31  0 4 0

Cell and atoms:
>>>
Activity.
What is needed: reproduce all of the contents above verbatim.
Solution.
Theoretical powder XRD pattern of Tl2Cd2I5 for Cu Kα, 1.54184 Å, from a PBE-relaxed structure.
No peak broadening, texture or thermal motion is included.

Crystal structure
```
Tl2Cd2I5
1.0
8.043 -3.063 0.000
8.043 3.063 0.000
-3.789 0.000 7.834
Tl Cd I
2 2 5
direct
0.112 0.112 0.289
0.888 0.888 0.711
0.357 0.357 0.136
0.643 0.643 0.864
0.144 0.144 0.895
0.350 0.350 0.468
0.500 0.500 0.000
0.650 0.650 0.532
0.856 0.856 0.105
```

The 10 most intense peaks (10° ≤ 2θ ≤ 90°), in order of rising 2θ:
two_theta	d/Å	I/Imax
17.74	4.998	33
20.55	4.322	46
24.59	3.620	76
25.38	3.509	84
29.15	3.063	100
29.47	3.031	62
34.11	2.628	38
34.40	2.607	51
38.50	2.338	47
45.47	1.995	34

Theoretical powder XRD pattern of TlCdI4 for Cu Kα, 1.54184 Å, from a PBE-relaxed structure.
No peak broadening, texture or thermal motion is included.

Crystal structure
```
TlCdI4
1.0
10.157 -3.345 0.000
10.157 3.345 0.000
-2.645 0.000 8.941
Tl Cd I
2 2 8
direct
0.188 0.188 0.301
0.812 0.812 0.699
0.162 0.162 0.747
0.838 0.838 0.253
0.065 0.065 0.443
0.091 0.091 0.958
0.293 0.293 0.707
0.329 0.329 0.243
0.671 0.671 0.757
0.707 0.707 0.293
0.909 0.909 0.042
0.935 0.935 0.557
```

The 10 most intense peaks (10° ≤ 2θ ≤ 90°), in order of rising 2θ:
two_theta	d/Å	I/Imax
14.00	6.328	95
19.86	4.470	28
24.15	3.686	87
25.43	3.502	20
26.65	3.345	100
29.04	3.074	71
36.26	2.477	60
39.29	2.293	22
39.82	2.264	52
48.11	1.891	24

Theoretical powder XRD pattern of TlCd2I2 for Cu Kα, 1.54184 Å, from a PBE-relaxed structure.
No peak broadening, texture or thermal motion is included.

Crystal structure
```
TlCd2I2
1.0
-2.112 2.112 9.939
2.112 -2.112 9.939
2.112 2.112 -9.939
Tl Cd I
1 2 2
direct
0.000 0.000 0.000
0.250 0.750 0.500
0.750 0.250 0.500
0.395 0.395 0.000
0.605 0.605 0.000
```

The 10 most intense peaks (10° ≤ 2θ ≤ 90°), in order of rising 2θ:
two_theta	d/Å	I/Imax
25.00	3.562	64
30.89	2.895	85
31.27	2.860	100
36.15	2.485	22
42.82	2.112	40
50.22	1.817	19
53.73	1.706	36
55.53	1.655	39
57.25	1.609	23
88.11	1.109	24

Theoretical powder XRD pattern of Tl3Cd2I7 for Cu Kα, 1.54184 Å, from a PBE-relaxed structure.
No peak broadening, texture or thermal motion is included.

Crystal structure
```
Tl3Cd2I7
1.0
14.487 0.000 0.000
0.000 15.292 0.000
0.000 0.000 4.553
Tl Cd I
6 4 14
direct
0.000 0.000 0.000
0.109 0.371 0.000
0.391 0.871 0.000
0.500 0.500 0.000
0.609 0.129 0.000
0.891 0.629 0.000
0.241 0.122 0.500
0.259 0.622 0.500
0.741 0.378 0.500
0.759 0.878 0.500
0.000 0.500 0.500
0.057 0.187 0.500
0.167 0.694 0.000
0.202 0.942 0.500
0.298 0.442 0.500
0.333 0.194 0.000
0.443 0.687 0.500
0.500 0.000 0.500
0.557 0.313 0.500
0.667 0.806 0.000
0.702 0.558 0.500
0.798 0.058 0.500
0.833 0.306 0.000
0.943 0.813 0.500
```

The 10 most intense peaks (10° ≤ 2θ ≤ 90°), in order of rising 2θ:
two_theta	d/Å	I/Imax
24.08	3.696	22
25.27	3.524	29
25.88	3.442	32
26.97	3.306	100
27.55	3.238	63
29.04	3.075	31
31.56	2.834	26
39.58	2.277	55
41.06	2.198	28
48.70	1.870	19

=====

# LaAlO3
Calculated X-ray powder pattern, λ = 1.5418 Å (Cu Kα). Input: a crystal structure in the Materials Project, relaxed with PBE.
Lines closer than 0.1° are merged.

Largest 6 diffraction maxima, by angle, 2θ = 10–90°:
23.3 deg, intensity 47
33.2 deg, intensity 100
41.0 deg, intensity 43
47.7 deg, intensity 36
53.8 deg, intensity 22
59.4 deg, intensity 39

Atomic structure:
```
LaAlO3
1.0
3.811 0.000 0.000
0.000 3.811 0.000
0.000 0.000 3.811
La Al O
1 1 3
direct
0.000 0.000 0.000
0.500 0.500 0.500
0.000 0.500 0.500
0.500 0.000 0.500
0.500 0.500 0.000
```

=====

# Na5LiFe2P2C2O14
Computed powder diffraction line list, Cu Kα X-rays. Input: a crystal structure in Alexandria, relaxed with GGA+U.

Top 10 peaks for 2θ from 5° to 70°, sorted by position:
2θ/deg  d_spacing  I_rel  (hkl)
9.9  8.954  84  0 0 1
19.5  4.552  32  1 0 1
19.8  4.476  32  1 0 -1
26.0  3.433  30  1 0 2
26.9  3.319  100  0 2 0
29.9  2.986  26  0 0 3
33.3  2.691  44  0 2 2
33.5  2.673  33  1 -2 1
34.3  2.613  92  2 0 0
55.4  1.660  31  0 4 0

Cell and atoms: